Chapter 1246 (2/2)

As the sky slowly shifted from darkness to the long shadows of the light before dawn, Randidly began to create his list of goals for the immediate future. On the journey back toward the Zones, Randidly wanted to get Kharon as perfectly poised as possible for the different sorts of reactions that they would inspire from most of the population.

There was magic in this world, and Randidly hoped Kharon could become the symbol of that.

More than that, he wanted to do some more investigations across Earth before he had to interact directly with other factions. When he had sought out that blood-based image out of curiosity after hearing Tatiana’s explanation, Randidly had been genuinely surprised to feel how strong it was. It wasn’t hard to locate, although the image was so diffused over the Southern portion of the Wildlands that it would take Randidly probably several hours worth of concerted attention to track the image to its source.

== Quantum chemistry results, as found in the file ==
# 1
The following is a quantum chemistry calculation of a 3-piece molecular cluster, C6H15NO2 overall at a distorted geometry, from the Open Molecules 2025 dataset.

## Properties
DFT total energy = -12045.271 eV
frontier orbital gap (spin up / spin down) = 0.25757 / 0.25767 Eh
multiplicity = 1
molar mass = 133.19 Da
energy relative to the best compared isomer or geometry (same formula, charge and spin) = 141.60 kcal/mol

Each line ends with the Löwdin charge.
Positions of all 24 atoms, in Å:
C1 -0.579 0.289 0.173  -0.40
C2 -0.649 -1.045 -0.229  -0.23
C3 1.694 -0.909 0.157  -0.34
C4 -0.654 0.616 1.636  -0.04
C5 -0.148 1.382 -0.765  -0.03
C6 -2.657 0.083 -0.350  0.02
N1 2.513 -0.113 0.992  0.00
O1 -0.485 -1.489 -1.480  0.02
O2 1.979 -0.733 -1.277  -0.14
H1 0.392 -1.141 -1.798  0.09
H2 2.789 -1.203 -1.530  0.09
H3 -1.024 -1.779 0.477  0.15
H4 1.817 -1.964 0.410  0.09
H5 3.503 -0.362 1.004  0.07
H6 2.446 0.875 0.775  0.05
H7 -1.063 -0.214 2.215  0.09
H8 -1.272 1.501 1.802  0.09
H9 0.349 0.824 2.016  0.08
H10 -0.694 2.299 -0.536  0.09
H11 0.919 1.581 -0.664  0.08
H12 -0.335 1.113 -1.804  0.09
H13 -2.775 -0.140 -1.405  0.03
H14 -2.872 1.124 -0.125  0.03
H15 -3.197 -0.596 0.305  0.03


# 2
The following is a quantum chemistry calculation of C6H15NO3 as an isolated structure at a distorted geometry, from the Open Molecules 2025 dataset.

## Properties
DFT total energy = -14096.056 eV
frontier orbital gap = 0.37505 Eh
multiplicity = 1
molar mass = 149.19 Da
energy relative to the best compared isomer or geometry (same formula, charge and spin) = 62.57 kcal/mol

Each line ends with the Löwdin charge.
Positions of all 25 atoms, in Å:
C1 -2.222 0.930 0.485  -0.09
O1 -1.098 0.558 -0.277  -0.19
C2 0.202 0.787 0.284  -0.57
C3 0.500 2.289 0.307  -0.03
C4 0.320 0.207 1.696  -0.02
C5 1.189 0.122 -0.691  -0.05
C6 1.048 -1.347 -1.079  -0.47
N1 -0.177 -1.632 -1.803  0.07
O2 2.076 -1.952 -1.448  0.02
H1 -2.345 0.292 1.373  0.09
H2 -2.175 1.983 0.803  0.09
H3 -3.098 0.800 -0.161  0.09
H4 -0.088 2.803 1.079  0.08
H5 1.561 2.457 0.534  0.09
H6 0.275 2.741 -0.669  0.10
H7 -0.096 -0.805 1.747  0.08
H8 1.377 0.174 1.994  0.10
H9 -0.217 0.826 2.427  0.08
H10 1.156 0.684 -1.638  0.14
H11 2.205 0.241 -0.296  0.13
H12 -1.011 -1.124 -1.504  0.09
H13 -0.084 -1.614 -2.813  0.12
H14 -0.496 -2.786 -0.639  0.20
O3 0.325 -2.942 0.270  -0.18
H15 0.871 -3.692 0.016  0.03


# 3
The following is a quantum chemistry calculation of a 2-piece molecular cluster, C6H15NO3S overall at a distorted geometry, from the Open Molecules 2025 dataset.

## Properties
DFT total energy = -24926.831 eV
frontier orbital gap (spin up / spin down) = 0.31757 / 0.28120 Eh
multiplicity = 1
molar mass = 181.26 Da
energy relative to the best compared isomer or geometry (same formula, charge and spin) = 145.09 kcal/mol

Each line ends with the Löwdin charge.
Positions of all 26 atoms, in Å:
C1 0.290 1.987 0.483  -0.14
C2 -2.462 0.432 0.547  -0.02
C3 -1.149 -1.092 -0.842  -0.03
C4 -0.465 -0.504 1.488  0.01

In addition, Randidly had caught several familiar hints of energy in the air. After leaving the frontlines, it was disturbing to find that the blood image was heavily tainted with the energy of Ileot Swacc.

If Ileot knew about me from his interactions with Shal, I suppose it makes sense that he would want an agent here on Earth to monitor me… it would also explain why the blood image is so strong compared to most of Earth’s images. Only Alana is even close…

It was somewhat reassuring to know that unless something drastic occurred, Ileot Swacc had been dealt with. Therefore, Randidly would only need to worry about dealing with the source of this blood image. Although Ileot had probably duplicated a portion of Earth and given this individual all the benefits, Randidly was confident in being able to take him down.

Other than the blood image… Randidly pressed his lips together in barely controlled fury. In a way that hadn’t occurred since… well, probably since before had any way of sensing her presence, the energy of the Creature was readily apparent across Earth. The scent was present everywhere, as though she didn’t even see the point of hiding from Randidly any longer. It seemed that her response to Randidly kicking her out of the Alpha Cosmos wasn’t a good one.

Entry 1:
A molecular structure, BeH27O18S at a distorted geometry. Source: OMol25; level of theory: ωB97M-V/def2-TZVPD.

Cartesian coordinates (Å):
Be  -0.955  29.608  4.037
O  -1.071  29.711  5.568
H  -1.258  30.357  6.202
S  -0.728  27.285  2.263
O  -1.992  27.236  1.464
O  -0.853  28.395  3.189
O  -0.612  26.078  3.143
O  0.513  27.536  1.466
O  -2.352  30.495  3.218
H  -2.139  30.481  2.286
H  -3.145  29.957  3.322
O  -2.223  24.572  4.290
H  -2.528  23.952  3.707
H  -1.548  25.203  3.820
O  3.001  27.262  2.135
H  3.279  28.170  2.200
H  2.098  27.336  1.855
O  -4.242  28.159  1.386
H  -3.338  27.797  1.315
H  -4.370  28.688  0.618
O  1.100  24.497  1.829
H  1.897  24.027  2.157
H  0.689  25.181  2.393
O  0.231  30.774  3.485
H  1.070  30.769  3.962
H  0.353  30.637  2.567
O  0.843  25.628  4.970
H  0.159  25.909  4.300
H  1.685  25.454  4.487
O  -1.316  23.148  1.702
H  -0.560  23.672  1.803
H  -1.196  22.284  2.107
O  1.335  29.784  1.051
H  0.928  29.958  0.213
H  1.040  28.871  1.134
O  -2.986  26.967  5.097
H  -2.698  26.075  4.847
H  -3.452  26.784  5.896
O  1.722  27.648  -0.909
H  1.344  27.467  -0.014
H  0.960  27.540  -1.506
O  -1.932  26.587  -0.927
H  -1.286  25.873  -0.970
H  -2.023  26.842  0.025
O  -3.676  24.998  1.241
H  -3.360  24.122  1.213
H  -2.821  25.346  1.469

Properties
charge = -1
multiplicity = 1
strongest force on any atom = 4.37 eV/A
gap between HOMO and LUMO = 9.342 eV
E = -48536.539 eV

Results of the Löwdin charge analysis, in e, for atoms 1 through 4:
1 Be 0.02
2 O -0.17
3 H -0.04
4 S 0.62



Entry 2:
A molecular structure, BeH29O19S at a distorted geometry. Source: OMol25; level of theory: ωB97M-V/def2-TZVPD.

Cartesian coordinates (Å):
Be  15.562  9.197  13.980
O  16.333  9.641  12.716
H  16.427  10.424  12.165
S  16.933  7.167  15.739
O  16.336  6.996  17.043
O  16.149  8.174  14.938
O  18.200  7.835  16.066
O  17.224  5.986  15.044
O  19.431  4.613  15.205
H  20.142  5.174  15.528
H  18.598  5.058  15.115
O  15.786  4.042  15.882
H  16.038  4.193  16.790
H  16.342  4.692  15.432
O  15.694  10.750  15.049
H  16.031  10.617  15.951
H  15.715  11.697  14.876
O  13.888  9.129  13.803
H  13.226  8.837  13.206
H  13.562  9.037  14.683
O  16.725  7.753  19.635
H  16.463  6.990  20.168
H  16.496  7.474  18.752
O  16.948  4.453  12.991
H  16.989  5.211  13.660
H  17.383  3.656  13.310
O  14.149  6.264  17.880
H  13.840  6.737  18.651
H  15.000  6.674  17.641
O  18.945  10.119  16.130
H  18.815  9.133  16.050
H  18.115  10.401  16.506
O  19.339  5.683  12.196
H  18.476  5.557  12.485
H  19.188  5.965  11.271
O  19.099  8.115  18.534
H  18.864  7.890  17.612
H  18.350  8.493  19.033
O  15.113  6.724  12.760
H  14.917  6.341  13.607
H  15.599  6.139  12.260
O  16.290  10.020  17.745
H  16.755  10.180  18.556
H  16.525  9.150  17.566
O  16.994  5.023  18.234
H  16.702  5.855  17.884
H  17.929  4.950  18.117
O  20.475  7.348  15.201
H  20.272  7.504  14.303
H  19.655  7.518  15.720

Properties
charge = -1

It was possible that she was preparing for the first Calamity as well, and considering the fact that she tried to stall out Earth in Zone 32’s Raid Dungeon, that only made Randidly more alarmed. The Earth was growing too large too quickly for Randidly to have any real sort of control over the direction of the entire Earth’s growth. That is why ironing out all the issues and hiccups with Kharon’s image was so important.

This would be his symbol. This was the contingency plan if the unthinkable happened.

Standing on the roof of an apartment building on Kharon, Randidly brought the fingertips of his left arm up and pressed them against his eyelids. The metal felt extremely cool against the almost feverish heat of his eyes.

Beyond that… Randidly had to determine what sort of threat the connections in the cleared Danger Zones presented. As far as he could tell, it wasn’t so overwhelming that it would destabilize the current Earth without his involvement. At the same time… Randidly had seen what happened to Shal’s world as combat was elevated to an almost holy status.

Fighting was a great way of improving the quality of an image… but it came with serious consequences. Ignoring those was foolish.

Of course, while I am trying to make peace, people decide to bring back football… Randidly chuckled lightly to himself.

Then his gaze turned sharp as he shited to look toward the Northeast. Randidly focused on the area where the Creature’s vague energy was the thickest. Because it was also in that same spot that Randidly’s Philosopher’s Key was telling him that he could find the next piece of his Fateset.

Not exactly surprising, but a bit annoying of a development...

# These calculated molecules were left in the article by mistake
~~~
This record from OMol25 describes C27H23AsCoN3O2 as an isolated structure. The level of theory is ωB97M-V/def2-TZVPD.

Results
energy relative to the best compared isomer or geometry (same formula, charge and spin) = 0.000 eV
gap between HOMO and LUMO (alpha / beta) = 7.754 / 7.914 eV
net charge = +1
E_LUMO (alpha / beta) = -0.131 / -0.135 Ha
2S+1 = 4
highest occupied orbital energy (alpha / beta) = -11.31 / -11.60 eV

Last column: Löwdin charge in e.
Positions of all 57 atoms, in Å:
Co  1.06853  -1.39229  1.24945  0.600
N  0.08879  -0.74451  3.03074  0.062
C  -1.29776  -1.09562  2.81153  -0.232
C  -2.34844  -0.42560  3.35573  -0.003
C  -3.67632  -0.85193  3.10988  -0.038
C  -3.92158  -1.95511  2.34746  -0.006
C  -2.84519  -2.65968  1.75142  -0.136
C  -3.01678  -3.80550  0.93893  0.027
C  -1.93480  -4.40787  0.36457  -0.015
C  -0.66246  -3.83893  0.55866  -0.085
N  -0.46477  -2.78677  1.32055  0.030
C  -1.53424  -2.20646  1.95421  -0.157
H  0.19455  0.18697  3.41635  0.108
H  0.48136  -1.38903  3.71770  0.130
H  -2.17440  0.42538  4.00248  0.125
H  -4.49715  -0.30772  3.55397  0.117
H  -4.93329  -2.30060  2.18317  0.125
H  -4.01405  -4.19523  0.77723  0.132
H  -2.03391  -5.28642  -0.25545  0.119
H  0.21279  -4.24285  0.06368  0.128
O  2.97196  -1.58639  1.74176  -0.202
N  3.43723  -2.00007  0.62631  -0.158
O  2.54294  -2.15579  -0.20899  -0.171
C  -2.88504  3.33459  0.21588  -0.069
C  -2.06251  2.99732  1.28292  -0.077
C  -0.97263  2.16638  1.07542  -0.145
C  -0.68621  1.68060  -0.19874  -0.364
C  -1.51590  2.01231  -1.26171  -0.083
C  -2.61292  2.83816  -1.04919  -0.063
As  0.80081  0.47690  -0.40406  1.340
C  0.74481  -0.05522  -2.24463  -0.400
C  0.27342  -1.31948  -2.57215  -0.109
C  0.17880  -1.70335  -3.90263  -0.067
C  0.55612  -0.82252  -4.90477  -0.064
C  1.02835  0.44292  -4.58036  -0.062
C  1.12125  0.82936  -3.25227  -0.109
C  2.42523  1.51141  -0.26660  -0.372
C  3.54520  1.09728  -0.98025  -0.115
C  4.75412  1.75759  -0.81032  -0.061
C  4.84872  2.82682  0.06715  -0.068
C  3.73293  3.23581  0.78307  -0.071
C  2.52287  2.57722  0.62206  -0.101
H  -3.73644  3.98279  0.37265  0.111
H  -2.26903  3.38084  2.27359  0.108
H  -0.34781  1.90311  1.92263  0.079
H  -1.31720  1.63494  -2.25793  0.100
H  -3.25360  3.09509  -1.88218  0.112
H  -0.00904  -2.02221  -1.79572  0.081
H  -0.18019  -2.69038  -4.15992  0.108
H  0.48792  -1.12225  -5.94167  0.111
H  1.32449  1.12902  -5.36228  0.112
H  1.49286  1.81797  -3.00956  0.115
H  3.48969  0.25684  -1.66048  0.104
H  5.62268  1.43047  -1.36528  0.112
H  5.79083  3.34203  0.19361  0.110
H  3.80287  4.07157  1.46599  0.109
H  1.66151  2.92808  1.17634  0.088

***

This record from OMol25 describes C27H23Br2CoFN3O4Te as an isolated structure. The level of theory is ωB97M-V/def2-TZVPD.

Results
energy relative to the best compared isomer or geometry (same formula, charge and spin) = 2.483 eV
gap between HOMO and LUMO (alpha / beta) = 5.961 / 6.131 eV
net charge = -1
~~~
# End of the calculated molecules

Humming to himself, Randidly loped back across Kharon’s rooftops to return to city hall. There, he scaled down the Northern wall and entered into an unobtrusive window. Rolling his shoulders, Randidly walked over to the desk and picked up some of the files that had been brought there.

These were more detailed reports on the various movements of different groups over the months that Randidly had been absent. Randidly made himself comfortable in the plush leather chair while he got to work pouring over the reports. He toyed with Ignition Essence, causing the emerald fire to dance across his hands, but for over two hours he carefully studied the tight handwriting contained in the documents. With the energy of both Ileot and the Creature present on Earth, he wanted to understand what they were up to.

So he examined every detail that Tatiana had thought worthy of note.

And he could find nothing.

With a sigh, Randidly pushed back his chair and stood. If it really was just that easy, I suppose someone else would have been able to notice that something is up… but I don’t like this. There’s too much I don’t know.

That thought, after Randidly frowned down at his desk for several seconds, caused Randidly to laugh lightly. “I have an entire city’s worth of people behind me… now’s not the time to worry about everything I don’t know. Better to just… focus on what I do.”